# Brief
Duplicate everything underneath exactly.

# Listing
~~~
Entry 1:
Compound: SrPrEuNbO6
Source: Materials Project
Functional: PBE
Structure: relaxed

Unit cell a=8.543 b=8.553 c=8.556 alpha=90.00 beta=90.00 gamma=90.00
Atoms (fractional coordinates):
Sr  0.000  0.500  0.500
Sr  0.500  0.500  0.000
Sr  0.500  0.000  0.000
Sr  0.000  0.000  0.500
Pr  0.250  0.250  0.250
Pr  0.750  0.750  0.250
Pr  0.750  0.250  0.750
Pr  0.250  0.750  0.750
Eu  0.500  0.000  0.500
Eu  0.000  0.500  0.000
Eu  0.000  0.000  0.000
Eu  0.500  0.500  0.500
Nb  0.750  0.750  0.750
Nb  0.250  0.250  0.750
Nb  0.250  0.750  0.250
Nb  0.750  0.250  0.250
O  0.979  0.201  0.289
O  0.021  0.799  0.289
O  0.021  0.201  0.711
O  0.979  0.799  0.711
O  0.288  0.979  0.201
O  0.288  0.021  0.799
O  0.712  0.021  0.201
O  0.712  0.979  0.799
O  0.199  0.290  0.979
O  0.801  0.290  0.021
O  0.199  0.710  0.021
O  0.801  0.710  0.979
O  0.521  0.299  0.211
O  0.479  0.701  0.211
O  0.479  0.299  0.789
O  0.521  0.701  0.789
O  0.212  0.521  0.299
O  0.212  0.479  0.701
O  0.788  0.479  0.299
O  0.788  0.521  0.701
O  0.301  0.210  0.521
O  0.699  0.210  0.479
O  0.301  0.790  0.479
O  0.699  0.790  0.521

Results
The value obtained for the formation enthalpy at 0 K is -33.160 eV/f.u. The space-group type is Pnnn (48). The calculation puts the total magnetization at 0.01 μB per formula unit. Its MP2020-corrected energy is -358.71 eV for the cell shown. For the total energy, the calculation gives -85.6 eV per formula unit. As for the energy above the most stable polymorph in this dataset: 0.0575 eV/atom.

---

Entry 2:
Compound: TiAlPd2
Source: Materials Project
Functional: PBE
Structure: relaxed

Unit cell a=2.920 b=2.920 c=7.151 alpha=90.00 beta=90.00 gamma=90.00
Atoms (fractional coordinates):
Ti  0.000  0.000  0.500
Al  0.000  0.000  0.000
Pd  0.500  0.500  0.229
Pd  0.500  0.500  0.771

Results
The value obtained for the formation enthalpy at 0 K is -2.923 eV/f.u. The space-group type is P4/mmm (123). The calculation puts the total magnetization at 0.77 μB per formula unit. For the total energy, the calculation gives -24.9 eV per formula unit.

---

Entry 3:
Compound: Pb2CO6
Source: Materials Project
Functional: PBE
Structure: relaxed

Unit cell a=8.386 b=8.386 c=8.386 alpha=33.81 beta=33.81 gamma=33.81
Atoms (fractional coordinates):
Pb  0.238  0.238  0.238
Pb  0.784  0.784  0.784
C  0.440  0.440  0.440
O  0.289  0.289  0.747
O  0.289  0.747  0.289
O  0.747  0.289  0.289
O  0.328  0.328  0.328
O  0.876  0.876  0.876
O  0.582  0.582  0.582

Results
The value obtained for the formation enthalpy at 0 K is -7.901 eV/f.u. The space-group type is R3m (160). The calculation puts the total magnetization at 3.06 μB per formula unit. Its MP2020-corrected energy is -54.24 eV for the cell shown. For the total energy, the calculation gives -50.1 eV per formula unit.

---

Copy entry 2 word for word.
Compound: TiAlPd2
Source: Materials Project
Functional: PBE
Structure: relaxed

Unit cell a=2.920 b=2.920 c=7.151 alpha=90.00 beta=90.00 gamma=90.00
Atoms (fractional coordinates):
Ti  0.000  0.000  0.500
Al  0.000  0.000  0.000
Pd  0.500  0.500  0.229
Pd  0.500  0.500  0.771

Results
The value obtained for the formation enthalpy at 0 K is -2.923 eV/f.u. The space-group type is P4/mmm (123). The calculation puts the total magnetization at 0.77 μB per formula unit. For the total energy, the calculation gives -24.9 eV per formula unit.

----------

1.
A relaxed TbGa3 crystal, computed with meta-GGA r2SCAN.

M_tot, μB per cell: 0.00
VASP energy, eV/atom: -16.995
ρ, g/cm3: 7.98

Cell lengths 6.2801, 6.2801, 4.4864 Å; angles 90.00, 90.00, 120.00 degrees
Fractional coordinates of all 8 atoms:
Tb 0.3333 0.6667 0.7500
Tb 0.6667 0.3333 0.2500
Ga 0.1446 0.2891 0.2500
Ga 0.7109 0.8554 0.2500
Ga 0.1446 0.8554 0.2500
Ga 0.8554 0.7109 0.7500
Ga 0.2891 0.1446 0.7500
Ga 0.8554 0.1446 0.7500


2.
A relaxed GaTc crystal, computed with meta-GGA r2SCAN.

M_tot, μB per cell: 0.00
VASP energy, eV/atom: -18.795
ρ, g/cm3: 9.65
~~~

# Response
Entry 1:
Compound: SrPrEuNbO6
Source: Materials Project
Functional: PBE
Structure: relaxed

Unit cell a=8.543 b=8.553 c=8.556 alpha=90.00 beta=90.00 gamma=90.00
Atoms (fractional coordinates):
Sr  0.000  0.500  0.500
Sr  0.500  0.500  0.000
Sr  0.500  0.000  0.000
Sr  0.000  0.000  0.500
Pr  0.250  0.250  0.250
Pr  0.750  0.750  0.250
Pr  0.750  0.250  0.750
Pr  0.250  0.750  0.750
Eu  0.500  0.000  0.500
Eu  0.000  0.500  0.000
Eu  0.000  0.000  0.000
Eu  0.500  0.500  0.500
Nb  0.750  0.750  0.750
Nb  0.250  0.250  0.750
Nb  0.250  0.750  0.250
Nb  0.750  0.250  0.250
O  0.979  0.201  0.289
O  0.021  0.799  0.289
O  0.021  0.201  0.711
O  0.979  0.799  0.711
O  0.288  0.979  0.201
O  0.288  0.021  0.799
O  0.712  0.021  0.201
O  0.712  0.979  0.799
O  0.199  0.290  0.979
O  0.801  0.290  0.021
O  0.199  0.710  0.021
O  0.801  0.710  0.979
O  0.521  0.299  0.211
O  0.479  0.701  0.211
O  0.479  0.299  0.789
O  0.521  0.701  0.789
O  0.212  0.521  0.299
O  0.212  0.479  0.701
O  0.788  0.479  0.299
O  0.788  0.521  0.701
O  0.301  0.210  0.521
O  0.699  0.210  0.479
O  0.301  0.790  0.479
O  0.699  0.790  0.521

Results
The value obtained for the formation enthalpy at 0 K is -33.160 eV/f.u. The space-group type is Pnnn (48). The calculation puts the total magnetization at 0.01 μB per formula unit. Its MP2020-corrected energy is -358.71 eV for the cell shown. For the total energy, the calculation gives -85.6 eV per formula unit. As for the energy above the most stable polymorph in this dataset: 0.0575 eV/atom.

---

Entry 2:
Compound: TiAlPd2
Source: Materials Project
Functional: PBE
Structure: relaxed

Unit cell a=2.920 b=2.920 c=7.151 alpha=90.00 beta=90.00 gamma=90.00
Atoms (fractional coordinates):
Ti  0.000  0.000  0.500
Al  0.000  0.000  0.000
Pd  0.500  0.500  0.229
Pd  0.500  0.500  0.771

Results
The value obtained for the formation enthalpy at 0 K is -2.923 eV/f.u. The space-group type is P4/mmm (123). The calculation puts the total magnetization at 0.77 μB per formula unit. For the total energy, the calculation gives -24.9 eV per formula unit.

---

Entry 3:
Compound: Pb2CO6
Source: Materials Project
Functional: PBE
Structure: relaxed

Unit cell a=8.386 b=8.386 c=8.386 alpha=33.81 beta=33.81 gamma=33.81
Atoms (fractional coordinates):
Pb  0.238  0.238  0.238
Pb  0.784  0.784  0.784
C  0.440  0.440  0.440
O  0.289  0.289  0.747
O  0.289  0.747  0.289
O  0.747  0.289  0.289
O  0.328  0.328  0.328
O  0.876  0.876  0.876
O  0.582  0.582  0.582

Results
The value obtained for the formation enthalpy at 0 K is -7.901 eV/f.u. The space-group type is R3m (160). The calculation puts the total magnetization at 3.06 μB per formula unit. Its MP2020-corrected energy is -54.24 eV for the cell shown. For the total energy, the calculation gives -50.1 eV per formula unit.

---

Copy entry 2 word for word.
Compound: TiAlPd2
Source: Materials Project
Functional: PBE
Structure: relaxed

Unit cell a=2.920 b=2.920 c=7.151 alpha=90.00 beta=90.00 gamma=90.00
Atoms (fractional coordinates):
Ti  0.000  0.000  0.500
Al  0.000  0.000  0.000
Pd  0.500  0.500  0.229
Pd  0.500  0.500  0.771

Results
The value obtained for the formation enthalpy at 0 K is -2.923 eV/f.u. The space-group type is P4/mmm (123). The calculation puts the total magnetization at 0.77 μB per formula unit. For the total energy, the calculation gives -24.9 eV per formula unit.

----------

1.
A relaxed TbGa3 crystal, computed with meta-GGA r2SCAN.

M_tot, μB per cell: 0.00
VASP energy, eV/atom: -16.995
ρ, g/cm3: 7.98

Cell lengths 6.2801, 6.2801, 4.4864 Å; angles 90.00, 90.00, 120.00 degrees
Fractional coordinates of all 8 atoms:
Tb 0.3333 0.6667 0.7500
Tb 0.6667 0.3333 0.2500
Ga 0.1446 0.2891 0.2500
Ga 0.7109 0.8554 0.2500
Ga 0.1446 0.8554 0.2500
Ga 0.8554 0.7109 0.7500
Ga 0.2891 0.1446 0.7500
Ga 0.8554 0.1446 0.7500


2.
A relaxed GaTc crystal, computed with meta-GGA r2SCAN.

M_tot, μB per cell: 0.00
VASP energy, eV/atom: -18.795
ρ, g/cm3: 9.65